How to Mitigate Zoom Fatigue

This article was written by Mackenzie Greene, a graduate student studying integrated marketing communication and School of Communication Director’s Ambassador. 

Tired of Zoom? You’re not Alone 

Since the start of the pandemic, Nielsen estimates we have increased our screen time by 60%. E-mails, social media, and of course the inevitable Zoom. Particularly for students, faculty and staff. 

Zoom has become such an intricate part of our lives that some people have already gone as far as discussing Zoom Fatigue, its symptoms, origins, impact, and solutions. 

Early findings indicate first and foremost that Zoom Fatigue is now a common occurrence. We feel unmotivated, stressed and distracted. 

So how we do overcome it? 

As Florida State University shifts exclusively to online learning following Thanksgiving until the end of the semester to ensure the safety of faculty, staff and students, what are some steps that we can take to mitigate Zoom fatigue?

Focus On One Thing at a Time:

While you may be able to be on a Zoom call and also text your mom, do homework and online shop simultaneously, this may not be the best option. According to the Journal of Experimental Psychology, multitasking at such an extreme can hinder comprehension and “may cost you 40 percent of your productive time.” For the hour Zoom call you have, do your best to put your phone away and stay away from anything else that might distract you, it’ll help you in the long-run.  

-- Someone pasted molecular data at this point --
Below is a 6-piece molecular cluster, C31H39ClF5NO18S overall, with properties calculated with ωB97M-V with the def2-TZVPD basis set.

CARTESIAN COORDINATES (ANGSTROEM)
C: 5.87062 1.53057 1.36205
C: 5.13811 2.62761 0.62988
C: 5.87223 3.62925 0.01071
C: 5.26019 4.66599 -0.67448
C: 3.87989 4.71291 -0.74823
C: 3.13756 3.72468 -0.13106
C: 3.73924 2.67684 0.56007
C: 2.90358 1.62381 1.26479
C: 2.26487 0.60733 0.30551
C: 1.16661 1.13292 -0.64594
C: 0.69368 0.01701 -1.63734
N: 0.67508 0.38942 -3.04198
C: 0.01012 1.76874 0.15900
C: -1.20682 2.17408 -0.69009
C: -1.21404 3.59488 -1.24735
C: -1.16434 4.68973 -0.17211
Cl: 0.08601 3.85512 -2.46379
C: -0.36842 0.87562 1.35064
O: 0.01888 -0.50874 1.19233
S: 1.57535 -0.77037 1.24387
O: 2.01406 -0.67107 2.61207
O: 1.80812 -2.01355 0.56853
H: 5.83186 1.70032 2.44097
H: 5.45842 0.54509 1.14916
H: 6.92233 1.53467 1.07324
H: 6.95556 3.59214 0.05842
H: 5.86312 5.43290 -1.14449
H: 3.38680 5.52006 -1.27695
H: 2.06069 3.79931 -0.18471
H: 3.55627 1.06254 1.92923
H: 2.16607 2.09719 1.91451
H: 3.04232 0.11651 -0.27767
H: 1.61584 1.89633 -1.27981
H: 1.33170 -0.85910 -1.54232
H: -0.31019 -0.31148 -1.36387
H: 1.60607 0.53890 -3.40371
H: 0.11810 1.21302 -3.21769
H: 0.38268 2.69206 0.61603
H: -1.38446 1.46692 -1.50112
H: -2.10493 2.13907 -0.06209
H: -2.13578 3.70149 -1.81841
H: -0.22720 5.24562 -0.21205
H: -1.23782 4.26335 0.82955
H: -1.97023 5.40764 -0.31555
H: 0.08016 1.23351 2.28123
H: -1.44592 0.84606 1.50700
C: 6.10020 -4.00683 0.11640
C: 5.80307 -3.35204 1.45216
O: 5.64697 -1.99067 1.09000
C: 5.26398 -1.93586 -0.21116
O: 4.82798 -0.97012 -0.74158
O: 5.42456 -3.13742 -0.79832
F: 6.82682 -3.46641 2.32661
H: 7.17191 -3.98590 -0.08530
H: 5.71958 -5.01887 0.02233
H: 4.88742 -3.69340 1.93729
C: 1.20674 -4.74218 2.37941
C: -0.08248 -4.42662 3.10912
O: -0.45627 -5.69821 3.62258
C: 0.66615 -6.45255 3.75319
O: 0.71719 -7.47883 4.34609
O: 1.70095 -5.86675 3.12265
F: -1.05515 -3.97541 2.28891
H: 1.00668 -5.04554 1.35150
H: 1.92091 -3.92491 2.38738
H: 0.02521 -3.72903 3.94076
C: -2.74752 2.88742 -6.17985
C: -3.12642 2.18123 -4.89273
O: -4.12239 3.03715 -4.35978
C: -4.68738 3.72952 -5.38673
O: -5.68013 4.36945 -5.29393
O: -3.96140 3.57410 -6.50864
F: -2.09691 2.11254 -4.01822
H: -1.95753 3.61613 -5.99354
H: -2.46168 2.21978 -6.98613
H: -3.54607 1.18282 -5.02241
C: -7.25096 4.95973 -2.50777
C: -8.68766 4.75954 -2.93742
O: -9.39680 5.59655 -2.04359
C: -8.55634 6.58350 -1.62058
O: -8.89511 7.55374 -1.03710
O: -7.28534 6.29033 -1.97734
F: -9.10673 3.47988 -2.77978
H: -6.99305 4.26044 -1.70981
H: -6.53899 4.87922 -3.32133
H: -8.90113 5.06947 -3.96140
C: -2.17720 -8.96488 5.17357
C: -2.40528 -10.00684 4.09920
O: -3.76154 -10.36078 4.29406
C: -4.39763 -9.31229 4.89069
O: -5.57053 -9.20837 4.99601
O: -3.49062 -8.41183 5.32817
F: -1.63009 -11.10595 4.25836
H: -1.87170 -9.44108 6.10636
H: -1.46149 -8.19897 4.89689
H: -2.27885 -9.64088 3.07882

Cartesian forces, eV/Å:
C 0.0 0.1 0.0
C -0.1 -0.2 0.0
C 0.2 0.1 -0.1
C 0.1 0.0 0.0
C 0.1 0.2 -0.1
-- Here the article continues --

Change of Scenery:

If you’re tired of staring at the same four walls while on a video call, move to a different place! The great thing about being mostly virtual is you aren’t tied down to a location. Simple changes such as going to a local coffee shop or park can motivate you to focus on your online tasks. As long as WiFi, headphones, a mask, and social distancing precautions are involved, the possibilities are endless!

Take a Break: 

Growing up in the age of new technology, it is not uncommon to find yourself switching from one screen to the next. When you get home from school or get off work, what is the first thing you reach for? If you said your phone or other electronic device, you’re not alone. But looking at a phone in hopes of unwinding may well be the wrong route. According to a study done by MCHC Health Matters, excessive screen time can be linked to anxiety, depression and sleep issues. While you may not be able to avoid classes and meetings through a screen, when the meetings are done try your best to limit excessive screen time and make it a priority to go outdoors.

The most important thing to remember when dealing with Zoom Fatigue, is that you are not alone in your struggles. A pandemic is not a normal occurrence, so our days should not be treated as such. Refer to this list to get out of your screen time rut and combat Zoom fatigue.

If your symptoms of Zoom fatigue are reflecting a more serious problem such as depression and anxiety, please contact a mental health professional.